Why don’t they list MeidasTouch in the headline?
Better title: “Pro-America podcast MeidasTouch dethrones shitty pro-donvict podcast in the charts”
Eeeeh. I can’t be the only one who won’t touch something described as “pro-America” with a ten foot pole.
I will say, before the election, i was watching them pretty hard. I dropped it for my own mental health after the election though. I wasn’t a huge fan of Ben Meiselas because he became more and more sensational but I really liked Michael Popoks legal commentary. I felt like Ben started shading into the tone and repetition patterns of the far right podcasters but either way, they both always had their facts straight and everything they said and predicted was backed by evidence and legal experience. Popok is a smart fuckin dude though.
Also, I’d say they’re “pro democracy” as that’s the line they always pushed unless it changed after the election.
If you want to ease into it just check out Popoks stuff as it’s way more objective. I learned so much about the legal/judicial system from him and it was all validated by other sources.
Agree popok is the juice on that channel. Agnifilo used to be there a lot too
I’m still subscribed but otherwise I share your thoughts exactly. Is also how I heard of the gal defending Luigi, I really enjoyed her stuff with Popok. I still feel like I can’t get back into any of it anymore though. Like what does it matter if everything they say is factually accurate if at the end of the day the law doesn’t matter and facts don’t seem to matter.
newsweek.com, a known right wing source, thats why.
Just listened a bit. These guys deep dive quite a bit, but I hope that this bump is from people who are previous Trump voters that now realize how fucked they are by Trump and get angry.
He’s created that in large part because of the media environment around him. Many republicans were upset and outraged on Jan 6th until they heard the fox news, rogan, etc line
Change the media consumption and a lot will follow from there. Changes to which media are more dominate are going to matter more than people think
Do they actually do interviews with experts? Or is it just two dudes pretending to be experts and presenting (mis)information
Less than a month into the new administration, the rise of the left-leaning MeidasTouch to become the country’s most popular podcast indicates a potential shift in tone currently resonating with Americans.
Is it actually Leftist or is it liberal? I’d welcome a number one Leftist show, but I don’t think most USA citizens are politically literate enough to know the difference. We’ve been brainwashed by decades of propaganda to think liberalism is synonymous with Leftist.
They self identify as progressive and it seems that they are, so definitely not liberals. I stopped clicking Brian Tyler Cohen videos though because he does clickbait bullshit like “trump gets NIGHTMARE legal news” or “trump campaign SUNK” and it ends up being some legal bullshit they have to re-file because they messed it up the first time, or something stupid like that. Seriously just scroll through his shorts. It’s awful.
Soft clickbait I don’t mind, but BTC’s titles are “the sky is falling” levels of bullshit. I didn’t even block his videos, I just stopped clicking and they completely fell out of my feed.
It’s a shame because it’s not bad content, I’m just sick of clicking a video expecting some big news involving actual consequences for terrible people, only to be told they will get away with a finger wag at worst.
leftist, almost always comes from right wing sources. in the usa there isnt a true political left.
They specifically said “left-leaning” to stop people like you from asking stupid questions like that. Stop gatekeeping anti-fascism.
I don’t think you’re as familiar with the meaning of terms as you think. Some people call the NYT left-leaning. They absolutely are not. They are a liberal publication and that has a different meaning.
This is what I meant when I said USA citizens have been corrupted by decades of propaganda. Conservative idiots genuinely believe socialism is about making people eat bugs as opposed to helping people out and doing things for their betterment. And liberals genuinely believe that they are Leftists. But go ahead and call my question stupid.
If “leftists” oppose the definition of liberalism then they’re not leftists.
Wow, I didn’t think I’d have need to copy / paste a post from thirty seconds ago!
I don’t think you’re as familiar with the meaning of terms as you think. Some people call the NYT left-leaning. They absolutely are not. They are a liberal publication and that has a different meaning.
This is what I meant when I said USA citizens have been corrupted by decades of propaganda. Conservative idiots genuinely believe socialism is about making people eat bugs as opposed to helping people out and doing things for their betterment. And liberals genuinely believe that they are Leftists.
Ooooh those propogandists promoting sinister ideologies such as…
civil rights and protections against discrimination on basis of race, ethnicity, gender, disability, etc…
Can you explain what you mean by this? I don’t see how recognizing the ideological difference between leftism & liberalism makes someone not a leftist… they differ pretty strongly on their central economic thesis, which is sort of a big deal given how influential the economy is in… like literally every area of our society & political systems…
The definition of liberalism is that a person believes in the enshrinement of basic human rights, equality, and equity such that a state or government body cannot infringe upon those rights unless its inaction would be a detriment to the rights of others.
People who oppose liberalism generally conflate liberalism with capitalism and capitalism with western nations. Basically, if you oppose liberals you’re just a piece of shit.
We need to start calling ourselves something else. Liberal and Leftist isn’t doing us any favors and is keeping people alienated from messages that may otherwise reach them. Maybe Centrists?? The labels are keeping us divided, but Centrist is like saying you are a rational human, and I think many people consider themselves to be that. Need to have a more unifying “label”.
This will only lead to the workers’ cause being diluted. Leftism is socialism. It is anti capitalism. It is named in opposition to the right wing deliberately. The dichotomy exists for a reason. Our enemies are capitalists. They are the ruling class. Diluting our cause achieves nothing but losing revolutionary momentum.
We need louder leftist voices. We need the messaging to get as far and wide as possible. The far right has been winning at this. They own the tech companies, the social media giants, they run the algorithms. We need to push people further and further off of those platforms and amplify leftist voices as loud as we can. We need more propaganda. We need more organization.
Can you imagine if every time someone pointed out the difference between Democrats & Republicans, we had to sit through endless comments of people speaking up to say things like “don’t gatekeep fascism, mom!!” or “not this moneybear twisted logic!!”?
Liberalism and Leftism broadly disagree on their respective core economic tenants. They’re ideologically further apart than Democrats and Republicans. And yet, you struggle to comprehend them as distinct entities without getting upset and triggered… if you seriously consider it divisive to understand that diversity of opinion on the left is good and a sign of a healthy democracy, I don’t know what to tell you.
You need to take a good long hard look at what you’re promoting here. Not everybody needs to think the same or adhere to exactly the same ideology in order to be deserving of respect and work together with others for common causes. We don’t need everyone to be grouped under one label for collective action and agreeable democratic reforms to take place. In fact, it’s important that we aren’t grouped that way… it’s detrimental to us all regardless of whether you’re liberal or left.
How are you sure that you haven’t bee brain washed?
The left-right spectrum is a construct. It doesn’t line up at all with reality. In reality, tribalism is 90% of politics. Most people vote the way their parents do. Some rebellious types don’t, and instead just conform to whatever their peer group thinks on political matters. Ideology is a post-facto rationalization for all of this.
Currently the “leftist” tribe is becoming more and more into alignment with the fascist tribe. You both show a common disdain for those in the opposition “liberal” tribe after all. And that’s what really matters in all of this mess. Leftists have joined fascist movements in the past, they just come up with rationalizations (which they have a lot of practice with) for why that’s the ideologically correct thing to do.
Only if by “generally center-right” you mean solely in comparison to European concepts of right/left. Most of the world is still vaguely authoritarian and right leaning.
Between two parts of the piece: records of crystals >
=====
Record 1
The following is a computed PXRD pattern of NdSi2Ir2. It was derived from a crystal structure in the Materials Project, relaxed with PBE, using CuKα.
No peak broadening, texture or thermal motion is included.

Principal peaks in the range 10° ≤ 2θ ≤ 90°, in order of falling intensity:
- 2θ 34.28, I = 100, hkl 1 0 3
- 2θ 29.74, I = 77, hkl 1 1 0
- 2θ 55.74, I = 50, hkl 2 1 3
- 2θ 42.56, I = 46, hkl 2 0 0
- 2θ 50.61, I = 18, hkl 1 0 5
- 2θ 47.42, I = 16, hkl 1 1 4
- 2θ 22.76, I = 16, hkl 1 0 1
- 2θ 61.76, I = 15, hkl 2 2 0

Crystal structure
```
data_NdSi2Ir2
_cell_length_a 4.2486
_cell_length_b 4.2486
_cell_length_c 9.9596
_cell_angle_alpha 90.00
_cell_angle_beta 90.00
_cell_angle_gamma 90.00
_symmetry_space_group_name_H-M 'I 4/m m m'
_symmetry_Int_Tables_number 139
_symmetry_space_group_name_Hall '-I 4 2'
loop_
_atom_site_label
_atom_site_fract_x
_atom_site_fract_y
_atom_site_fract_z
Nd1 0.0000 0.0000 0.0000
Si1 0.0000 0.5000 0.2500
Ir1 0.0000 0.0000 0.3666
```

Record 2
The following is a computed PXRD pattern of LaPm3. It was derived from a crystal structure in the Materials Project, relaxed with PBE, using CuKα.
No peak broadening, texture or thermal motion is included.

Principal peaks in the range 10° ≤ 2θ ≤ 90°, in order of falling intensity:
- 2θ 31.62, I = 100, hkl 2 0 1
- 2θ 29.90, I = 26, hkl 0 0 2
- 2θ 27.77, I = 23, hkl 2 0 0
- 2θ 58.58, I = 23, hkl 2 2 2
- 2θ 54.17, I = 22, hkl 2 0 3
- 2θ 49.12, I = 19, hkl 2 2 0
- 2θ 59.60, I = 16, hkl 4 0 1
- 2θ 41.26, I = 16, hkl 2 0 2

Crystal structure
```
data_LaPm3
_cell_length_a 7.4184
_cell_length_b 7.4184
_cell_length_c 5.9773
_cell_angle_alpha 90.00
_cell_angle_beta 90.00
_cell_angle_gamma 120.00
_symmetry_space_group_name_H-M 'P 63/m m c'
_symmetry_Int_Tables_number 194
_symmetry_space_group_name_Hall '-P 6c 2c'
loop_
_atom_site_label
_atom_site_fract_x
_atom_site_fract_y
_atom_site_fract_z
La1 0.3333 0.6667 0.2500
Pm1 0.1659 0.3318 0.7500
```

Record 3
The following is a computed PXRD pattern of Ce2AlGe6. It was derived from a crystal structure in the Materials Project, relaxed with PBE, using CuKα.
No peak broadening, texture or thermal motion is included.

Principal peaks in the range 10° ≤ 2θ ≤ 90°, in order of falling intensity:
- 2θ 32.33, I = 100, hkl 2 2 -2
- 2θ 36.73, I = 30, hkl 2 2 2
- 2θ 41.85, I = 24, hkl 0 4 0
- 2θ 42.88, I = 21, hkl 4 0 -1
- 2θ 33.03, I = 21, hkl 0 2 3
- 2θ 34.30, I = 20, hkl 0 0 4
- 2θ 24.67, I = 13, hkl 2 0 -2
- 2θ 26.78, I = 13, hkl 0 2 2

Crystal structure
```
data_Ce2AlGe6
_cell_length_a 8.4368
_cell_length_b 8.6352
_cell_length_c 10.6751
_cell_angle_alpha 90.00
_cell_angle_beta 101.61
_cell_angle_gamma 90.00
_symmetry_space_group_name_H-M 'C 1 2/m 1'
_symmetry_Int_Tables_number 12
loop_
_symmetry_equiv_pos_as_xyz
'x,y,z'
'-x,-y,-z'
'-x,y,-z'
'x,-y,z'
'x+1/2,y+1/2,z'
'-x+1/2,-y+1/2,-z'
'-x+1/2,y+1/2,-z'
'x+1/2,-y+1/2,z'
loop_
=====
Right now there’s only fascists and those that oppose them. Kicking those opposed to fascism just after they were kicked to the ground by the electorate puts you on which side of things?
Fascism is very specifically a right wing ideology. You’re thinking of authoritarianism, which can go both ways. There is no such thing as lefty fascism.
Red fascism has been an accusation that’s been leveled by real socialists at authoritarian socialists for a century. The only problem with the term is that liberals don’t actually know what it means or how important the red part is and start harping on about horseshoes (all while ignoring all the fascism and genocide they themselves support out of convienence)
Yeah there’s some of the rationalization I’m talking about. There’s not a lot of daylight between the politics of the US and China right now. Both have authoritarian leaders that push a narrative about the need for a strongman to run the economy and protect their respective countries from the evil foreigners. Both want to expand their territory. Putin is the same, of course.
Fascism is just a scam to make people accept having an authoritarian leadership. There’s common tropes they use in their propaganda to emotionally manipulate people into supporting it. Glorious past, evil foreigners took things from us, we need a strong man (and it has to be a man because misogyny is a big part of it) to make things right. It’s all bullshit no matter where you put it on your precious spectrum. But it’s bullshit that works. And when it does work all that matters is what you do to oppose it. How you categorize it means jack shit.
“We’re all just cavemen throwing spears at the other village” is not a tremendously helpful or thought-provoking insight, no matter how much truth there is to it.
Government policy is definitely not some illusory construct no matter how poorly the public comprehends or interacts with it.
When someone is throwing a spear at you how much time do you devote to trying to categorize what ideology they’re in?
When fascism enters the picture there’s only three groups of people. Those that support it, those that oppose it, and those that do nothing. Which of these three groups are you in?
And yet again.
I don’t think you’re as familiar with the meaning of terms as you think. Some people call the NYT left-leaning. They absolutely are not. They are a liberal publication and that has a different meaning.
This is what I meant when I said USA citizens have been corrupted by decades of propaganda. Conservative idiots genuinely believe socialism is about making people eat bugs as opposed to helping people out and doing things for their betterment. And liberals genuinely believe that they are Leftists.
And yet again, you’re obsessed with meaningless categorization that has no basis in reality. You’ve been conditioned into doing this as a way to show loyalty to your particular tribe. It’s just a vain effort to prove you’re tribe is smarter and therefore superior to the other tribes.
The real smart thing to do is to recognize the threat to everyone else one particular tribe has become. And work with everyone else to oppose it. But your caveman brain has become to accustomed towards throwing rocks at a particular tribe you’ll just go on doing it when after they’ve been beaten down to the ground while the real threat gets ready to take you down.
This obsessive need to categorize politics to know who is in your tribe so you know whether to agree with them isn’t actually all that smart.
According to Podscribe.
Which collects data from more than the single-source Spotify.
For me it’s the recent percentage in increased subscribers. Is Ben Shapiro better/worse than Rogan? Isn’t he branded as a more “intellectual” to those who listen to both? F.
By having a black female, the right can point to a single source when accused of being either racist or misogynist. No longer do they need to remember two separate podcasts to affirm they are neither racist nor misogynistic. That leaves them much more time to beat off to JRE and his clones and lesser offspring.
Podcasts are thinking for people who can’t read.
I’m making a rather cruel joke, but I do find some friends who struggle (lazy / busy, I’m not sure why) to read a news article I might share with them and, who will share with me some 20 sec Instagram clip with the words flashing up with Peterson or Rogan “slamming”, “owning”, “destroying” the libs. A quick Google usually dispels the quote or shows that the subject is not so simple.
I should also add I do listen to podcasts and radio and there’s nothing wrong with both.
I’m these people. Probably read like 7 books in my life but dozens of audio books 🤣. I get distracted while reading a book. Can crush audio books when I’m cleaning or driving though.
Bias fucking bullshit. Why is Joe Rogan named and not the podcast that usurped him? Media fucking blows
They name it in the first sentence, and at least for me, given it’s longevity and word of mouth I know what Joe Rogan implies, but if you said “MeidasTouch” in the headline, I’d have no idea the implication of that shift, since I haven’t listened to either of the two.
If they just put the name I would have no idea who they are. Writing the full name plus “,an anti-Trump podcast” would be a really long title with extra info they get in the first sentence.
Wanting to stop at the headline is a bad habit. Just click the article and complain if the name isn’t right there.
Wdym? It literally says the podcast name is “The MeidasTouch Podcast” in the first sentence.